Version a
Compound: Sr2Tl2O5
Source: the Materials Project
Functional: PBE
Structure: relaxed

Values from the calculation:
* SG: Cmc2_1 (36)

POSCAR file:
```
Sr2Tl2O5
1.0
1.782 -5.835 0.000
1.782 5.835 0.000
0.000 0.000 14.102
Sr Tl O
4 4 10
Direct
0.033 0.967 0.500
0.213 0.787 0.846
0.787 0.213 0.346
0.967 0.033 0.000
0.236 0.764 0.127
0.489 0.511 0.735
0.511 0.489 0.235
0.764 0.236 0.627
0.121 0.879 0.679
0.160 0.840 0.268
0.318 0.682 0.994
0.407 0.593 0.596
0.440 0.560 0.375
0.560 0.440 0.875
0.593 0.407 0.096
0.682 0.318 0.494
0.840 0.160 0.768
0.879 0.121 0.179
```

---

Version b
Compound: Sr2Tl2O5
Source: the Materials Project
Functional: PBE
Structure: relaxed

Values from the calculation:
* SG: P2_1/c (14)

POSCAR file:
```
Sr2Tl2O5
1.0
6.099 0.000 0.000
0.000 14.124 0.000
-2.014 0.000 6.793
Sr Tl O
8 8 20
Direct
0.046 0.113 0.136
0.046 0.387 0.636
0.437 0.737 0.738
0.437 0.763 0.238
0.563 0.237 0.762
0.563 0.263 0.262
0.954 0.613 0.364
0.954 0.887 0.864
0.045 0.107 0.637
0.045 0.393 0.137
0.500 0.000 0.000
0.500 0.000 0.500
0.500 0.500 0.000
0.500 0.500 0.500
0.955 0.607 0.863
0.955 0.893 0.363
0.141 0.734 0.918
0.141 0.766 0.418
0.208 0.535 0.176
0.208 0.965 0.676
0.233 0.554 0.685
0.233 0.946 0.185
0.334 0.139 0.464
0.334 0.361 0.964
0.350 0.139 0.963
0.350 0.361 0.463
0.650 0.639 0.537
0.650 0.861 0.037
0.666 0.639 0.036
0.666 0.861 0.536
0.767 0.054 0.815
0.767 0.446 0.315
0.792 0.035 0.324
0.792 0.465 0.824
0.859 0.234 0.582
0.859 0.266 0.082
```

---

Most stable structure, least stable structure: version a, version b.

---

Version a
Compound: SrZnO5
Source: the Materials Project
Functional: PBE
Structure: relaxed

Values from the calculation:
* SG: P1 (1)
* total magnetization: 2.00 μB per cell

POSCAR file:
```
SrZnO5
1.0
4.437 0.000 0.000
2.113 4.551 0.000
0.161 2.196 6.449
Sr Zn O
1 1 5
Direct
0.000 0.000 0.000
0.319 0.571 0.594
0.097 0.707 0.343
0.382 0.239 0.908
0.436 0.532 0.871
0.782 0.192 0.376
0.816 0.198 0.561
```

---

Version b
Compound: SrZnO5
Source: the Materials Project
Functional: PBE
Structure: relaxed

Values from the calculation:
* SG: P1 (1)
* total magnetization: 2.01 μB per cell

POSCAR file:
```
SrZnO5
1.0
4.491 0.000 0.000
0.278 5.371 0.000
0.116 2.074 5.201
Sr Zn O
1 1 5
Direct
0.000 0.000 0.000
0.496 0.620 0.441
0.067 0.644 0.537
0.122 0.472 0.086
0.503 0.926 0.144
0.837 0.434 0.096
0.853 0.439 0.628
```

---

Version c
Compound: SrZnO5
Source: the Materials Project
Functional: PBE
Structure: relaxed

Values from the calculation:
* SG: P-1 (2)
* total magnetization: 4.00 μB per cell

POSCAR file:
```
SrZnO5
1.0
5.476 0.000 0.000
-2.253 6.508 0.000
-2.341 -2.364 6.926
Sr Zn O
2 2 10
Direct
0.048 0.476 0.242
0.952 0.524 0.758
0.357 0.028 0.196
0.643 0.972 0.804
0.120 0.750 0.086
0.193 0.199 0.452
0.278 0.719 0.606
0.342 0.247 0.629
0.461 0.669 0.768
0.539 0.331 0.232
0.658 0.753 0.371
0.722 0.281 0.394
0.807 0.801 0.548
0.880 0.250 0.914
```

---

Most stable structure, least stable structure: version c, version a.

----------

An optimized crystal structure of Ho2Al3Co14, computed with GGA-PBE.

**Total moment**: 33.2 μB per cell
**Calculated total energy**: -248.0 eV/cell
**Energy relative to the elements**: -0.2159 eV per atom

The structure in CIF format:
```
data_Ho2Al3Co14
_cell_length_a 8.3436
_cell_length_b 8.3436
_cell_length_c 8.1483
_cell_angle_alpha 90.00
_cell_angle_beta 90.00
_cell_angle_gamma 120.00
_symmetry_space_group_name_H-M 'P 63/m m c'
_symmetry_Int_Tables_number 194
_symmetry_space_group_name_Hall '-P 6c 2c'
loop_
_atom_site_label
_atom_site_type_symbol
_atom_site_fract_x
_atom_site_fract_y
_atom_site_fract_z
Ho1 Ho 0.0000 0.0000 0.2500
Ho2 Ho 0.3333 0.6667 0.2500
Al1 Al 0.0000 0.5000 0.0000
Co1 Co 0.0444 0.3711 0.7500
Co2 Co 0.1626 0.3252 0.0148
Co3 Co 0.3333 0.6667 0.6101
```

Now set down every line above that contains the word "crystal".

An optimized crystal structure of Ho2Al3Co14, computed with GGA-PBE.